We are dedicating the first ECITE in Austria to the art of teaching and the art of practicing Contact Improvisation.
In exchange with active contact teachers there will be time and space to focus on the methods of teaching and exploring the form. You bring your actual questions and concerns, share your discoveries and widen your repertoire. It is your very special time each year to exchange with your peers otherwise spread all over the globe.
Teaching Contact Improvisation is related to a diversified tradition of teaching art in Europe. There seems to be a general cultural distinction in Europe between the teaching of art and the making of art. We observe the tendency that teaching art is not considered an artistic process.
We want to emphasize the creative power of teaching.
We want to center teaching around an artistic practice rather than around
**Quantum chemistry results that have nothing to do with the page**
'''
Entry 1:
The following is a DFT calculation (wB97M-V/def2-TZVPD) of C20H24N2NiO3S as an isolated structure.

Each line ends with the Löwdin spin population.
Geometry (Å):
Ni  1.3418  -0.1921  -1.1678  1.4767
S  -2.2869  -1.1557  2.0001  0.0000
O  -2.1204  -1.4621  3.4287  0.0003
O  -3.4228  -1.7303  1.3183  0.0000
O  -0.9934  -1.1455  1.2207  0.0009
N  1.0899  -1.7221  -2.1352  0.0597
N  2.3517  -1.2250  -0.0451  0.0403
C  -0.5809  1.2110  -0.9365  0.0266
C  0.2674  -1.8897  -3.1969  0.0192
C  3.9192  -1.5749  1.7578  -0.0009
C  -3.8367  4.7389  2.2439  0.0000
C  2.7449  -2.4182  -0.6190  0.0155
C  -2.4089  2.7639  3.0293  0.0001
C  0.3023  -3.0337  -4.0018  0.0027
C  -3.4399  3.2838  2.2051  0.0000
C  3.7771  -3.1929  -0.0643  -0.0010
C  0.4440  1.6744  0.0128  0.0366
C  1.2541  -4.0342  -3.7249  0.0095
C  2.9008  -0.8393  1.1311  0.0250
C  -2.0457  1.4241  2.9491  0.0004
C  -4.0843  2.4159  1.2982  0.0001
C  -2.7181  0.6065  2.0547  0.0007
C  -3.7157  1.0762  1.2149  0.0004
C  4.3673  -2.7646  1.1456  0.0167
C  2.1283  -3.8732  -2.6224  0.0025
C  1.9034  1.3175  -2.2697  0.1764
C  1.9898  -2.7183  -1.8174  0.0125
H  1.3304  -4.9322  -4.3739  0.0004
H  -1.2700  0.9268  3.5304  0.0000
H  -3.2236  5.2778  2.9838  0.0000
H  -4.9008  4.8605  2.5223  0.0000
H  -0.6884  2.0756  -1.5834  -0.0002
H  -1.8745  3.4184  3.7086  0.0000
H  2.9753  1.4942  -2.0164  0.0157
H  4.1074  -4.0945  -0.6203  -0.0001
H  1.5306  1.5601  0.1076  0.0123
H  -0.0046  1.3042  0.9389  0.0019
H  2.4997  0.0672  1.5654  0.0018
H  -0.4395  -1.0971  -3.4035  0.0015
H  -0.6212  0.2915  -1.4954  0.0073
H  4.3610  -1.2084  2.6976  -0.0001
H  5.1835  -3.3514  1.6063  0.0008
H  2.9402  -4.5813  -2.3778  0.0003
H  0.3744  2.7627  -0.1071  0.0047
H  -4.8506  2.8163  0.6387  0.0000
H  -3.7227  5.2689  1.2787  0.0000
H  1.3355  2.2630  -2.1333  0.0136
H  -1.4760  1.1248  -0.2360  0.0043
H  -4.1373  0.3399  0.5429  0.0000
H  -0.4021  -3.1134  -4.8451  0.0003
H  1.8448  0.9860  -3.3383  0.0144

Its multiplicity is 3. The value obtained for the gap between HOMO and LUMO (alpha / beta) is 0.225 / 0.211 Eh. The calculation puts the HOMO energy (alpha / beta) at -7.812 / -7.817 eV. As for the expectation value of S²: 2.01. The value obtained for the LUMO energy (alpha / beta) is -1.691 / -2.065 eV. For the total energy, the calculation gives -3018.104474 hartree. As for the energy relative to the best compared isomer or geometry (same formula, charge and spin): 0.0 kcal/mol.

---

Entry 2:
The following is a DFT calculation (wB97M-V/def2-TZVPD) of a single C20H24N2O2 molecule.

Each line ends with the Löwdin charge.
Geometry (Å):
O  0.8193  -1.2033  1.7373  0.0605
O  7.0314  -0.5859  -0.0494  -0.0910
N  1.5286  0.1827  0.0551  0.1442
N  -0.7108  -0.0043  0.6320  0.1169
C  -0.9728  1.1804  -1.5503  -0.0179
C  -4.7320  -0.4301  -0.1652  -0.1837
C  4.9350  -0.9731  0.9225  0.0053
C  -5.0002  1.8558  0.5330  -0.0643
C  0.5862  -0.3834  0.8719  -0.5284
C  -6.6314  -1.7607  -1.1878  -0.0606
'''
pedagogical tools.
And we would like to cast a light on our social, cultural, economical and
political environment of our teaching practice in order to develop and strenghten
our ability to communicate with „the world“.
Some of our questions are
Why do you teach this form of dance nowadays?
Why does the world need Contact Improvisation nowadays?
How does your teaching relate to „the world“ - how do artistic,
philosphical, political, economical and social issues interrelate with your
How do cultural identities shape the teaching? How can we identify these
differences to enrich each other in this significant European meeting?
How to create an artistically encouraging environment for students to research
their own artistic/creative interests?
What kind of learning do different teaching and transmission styles support?
What are the hidden scores of your teaching?
What are your challenges and your highlights in teaching?
As organizers of ECITE 2006 we hope to offer a fertile ground for investigating some of these questions and for deepening our understanding concerning all layers of teaching Contact Improvisation in our world today. We wish that dancing in the jams be delightful and that all of us are willing to confront the challenges of our calling and our profession speaking them out honestly in our community moving towards satisfying solutions.
Ingrid Hörlezeder and Sylvia Scheidl
ECITE 2006 Contact :
Sylvia Scheidl, tel +43 1 914 58 45 ort el +43 699 110 41 587, tanz.sylvia@aon.at
Ingrid Hörlezeder, tel +43 1 406 92 12, ingrid.hoerlezeder@web.de
Webmaster (for technical questions) : Tinu Hettich, webmaster@ecite.org
since 31.03.06